Source.
+++
The following is a DFT calculation (ωB97M-V/def2-TZVPD) of a structure of composition C24H20As2N2O4PdS4.

Structure (ORCA input):
```
! wB97M-V def2-TZVPD RIJCOSX def2/J DEFGRID3
* xyz -2 1
Pd 1.98 0.57 -0.34
C 0.54 0.81 2.92
C 0.71 2.06 2.13
N 1.09 2.19 0.88
C 1.08 3.54 0.60
C 0.70 4.23 1.72
N 0.47 3.27 2.66
C 0.48 5.68 2.11
O 0.66 6.53 1.20
O 0.03 5.85 3.25
C 1.46 4.09 -0.73
O 1.38 5.39 -0.85
O 1.77 3.36 -1.65
H 1.18 0.02 2.53
H -0.50 0.47 2.88
H 0.81 0.99 3.96
H 0.17 3.53 3.60
H 1.07 5.88 0.01
S 6.72 -0.17 -0.23
As 4.89 -1.10 0.10
S 3.39 -0.78 -1.52
S 3.48 0.18 1.32
S 4.89 -3.12 0.72
C -5.29 -1.88 -1.60
C -5.10 -1.50 -0.28
C -3.86 -1.06 0.14
C -2.77 -1.02 -0.72
C -2.98 -1.38 -2.05
C -4.22 -1.80 -2.49
As -1.07 -0.30 0.01
C -0.43 -1.93 0.89
C 0.83 -2.48 0.67
C 1.27 -3.55 1.44
C 0.46 -4.08 2.43
C -0.80 -3.54 2.66
C -1.23 -2.46 1.90
C 0.00 -0.27 -1.60
C 0.30 -1.43 -2.34
C 0.93 -1.33 -3.56
C 1.29 -0.07 -4.07
C 0.99 1.07 -3.36
C 0.33 0.98 -2.13
H -6.26 -2.22 -1.94
H -5.93 -1.53 0.42
H -3.74 -0.73 1.17
H -2.16 -1.32 -2.76
H -4.36 -2.08 -3.52
H 1.51 -2.07 -0.08
H 2.28 -3.92 1.27
H 0.81 -4.91 3.04
H -1.43 -3.93 3.44
H -2.21 -2.03 2.12
H 0.05 -2.40 -1.93
H 1.18 -2.22 -4.11
H 1.82 -0.01 -5.01
H 1.29 2.05 -3.72
H 0.03 1.90 -1.63
*
```

- DFT total energy: -204887.5345 eV
- Energy above the lowest of the compared OMol25 structures with the same formula, charge and spin: 4.86 kcal/mol
- Gap between HOMO and LUMO: 0.218 Eh
- HOMO energy: -2.00 eV


The following is a DFT calculation (ωB97M-V/def2-TZVPD) of a structure of composition C35H32F4N10O4PPbSSe in a non-equilibrium geometry.

Structure (ORCA input):
```
! wB97M-V def2-TZVPD RIJCOSX def2/J DEFGRID3
* xyz 3 1
Pb 0.79 -0.92 -0.08
Se 4.61 0.68 -1.86
N 5.14 1.75 -0.61
C 4.31 1.69 0.43
C 4.37 2.39 1.65
C 3.36 2.15 2.55
C 2.32 1.26 2.26
N 2.23 0.59 1.12
C 3.22 0.79 0.22
N 3.21 0.15 -0.94
H 5.18 3.07 1.85
H 3.36 2.65 3.51
H 1.53 1.08 2.98
C -3.41 5.50 1.02
C -2.77 4.24 0.58
C -2.67 3.92 -0.77
C -2.07 2.72 -1.09
N -1.61 1.83 -0.25
C -1.72 2.13 1.04
C -2.27 3.32 1.49
H -3.76 6.09 0.17
H -2.72 6.10 1.61
H -4.26 5.26 1.66
H -3.05 4.58 -1.54
H -2.30 3.05 -3.05
H -1.37 1.37 1.73
H -2.32 3.53 2.55
S 1.75 -3.17 1.08
C 2.58 -4.13 -0.05
N 2.91 -5.41 0.32
C 3.54 -6.24 -0.53
C 3.89 -5.80 -1.78
C 3.54 -4.47 -2.09
N 2.91 -3.68 -1.25
H 2.66 -5.72 1.25
H 3.75 -7.24 -0.18
H 4.39 -6.44 -2.48
H 3.80 -4.04 -3.04
F -3.41 -3.89 5.46
C -2.42 -3.15 5.91
C -2.27 -2.96 7.26
F -3.13 -3.53 8.08
C -1.23 -2.13 7.81
C -0.28 -1.61 6.86
C -0.46 -1.79 5.52
F 0.42 -1.23 4.66
C -1.56 -2.51 4.97
C -1.79 -2.53 3.59
C -1.06 -1.83 2.66
N -0.54 -1.27 1.78
C -2.84 -3.26 2.98
N -3.65 -3.85 2.41
F 0.75 -0.91 7.29
C -1.20 -1.79 9.15
C -0.25 -0.89 9.70
N 0.47 -0.12 10.15
C -2.19 -2.18 10.08
N -3.00 -2.41 10.86
C 1.76 2.16 -5.16
C 0.50 2.97 -4.90
C 0.72 3.99 -3.79
C -0.06 3.63 -6.15
O -0.54 2.01 -4.48
P -0.67 1.25 -3.15
O -1.94 2.37 -2.46
O 0.43 1.13 -2.20
O -1.70 0.12 -3.30
C -1.56 -1.15 -4.03
C -0.12 -1.63 -3.90
C -2.54 -2.09 -3.36
C -1.92 -0.89 -5.48
H 2.55 2.81 -5.53
H 1.56 1.39 -5.91
H 2.08 1.68 -4.24
H 1.55 4.65 -4.06
H 0.97 3.49 -2.85
H -0.16 4.61 -3.65
H 0.64 4.37 -6.53
H -1.00 4.14 -5.92
H -0.24 2.90 -6.93
H 0.13 -1.78 -2.85
H 0.56 -0.89 -4.31
H 0.00 -2.57 -4.43
H -2.28 -2.25 -2.31
H -2.53 -3.05 -3.87
H -3.55 -1.69 -3.41
H -1.20 -0.21 -5.94
H -2.91 -0.46 -5.56
H -1.92 -1.82 -6.04
*
```

- DFT total energy: -161468.0124 eV
- Gap between HOMO and LUMO (spin up / spin down): 0.215 / 0.214 Eh
- HOMO energy (spin up / spin down): -15.30 / -15.28 eV


The following is a DFT calculation (ωB97M-V/def2-TZVPD) of a cluster of 2 separate species, C3H7N3O2PS in total in a non-equilibrium geometry.

Structure (ORCA input):
```
! wB97M-V def2-TZVPD RIJCOSX def2/J DEFGRID3
* xyz -1 1
C -1.63 -0.27 -0.32
C -2.20 0.59 -1.11
C 0.79 -3.37 2.09
N -1.19 -1.06 0.48
N -0.34 -2.92 1.34
N -0.27 -1.69 1.03
O 2.39 3.49 -0.82
O 1.33 1.27 -1.29
P 1.69 2.79 -1.93
S -0.43 3.67 -1.79
H -1.76 1.56 -1.30
H 0.06 4.76 -1.24
H -3.09 0.34 -1.67
H 1.19 -4.27 1.62
+++

Request.
The reader should say how many lines of the block earlier on hold the word "and", as a bare number.

Solution.
3